Apache Axis2 2.0.0 Release Notes

This release marks the transition to jakarta that has been tested with Tomcat 11 and Wildfly 32, and is expected to support EE 10 and Spring 6 / Spring Boot 3.

The Axis2 project transition to jakarta depends partly on Axiom, which has also been updated to 2.0.0.

........
1.
A structure of composition C6H7MgO4Rb at a distorted geometry, computed with the ωB97M-V functional and the def2-TZVPD basis.

* Kohn-Sham gap (spin up / spin down): 4.44 / 2.58 eV
* net charge: +1
* 2S+1: 2

Geometry (Å):
C1 -0.2428 1.3946 1.2535
C2 0.1611 1.1397 0.1345
C3 0.7044 1.0140 -1.2088
C4 2.0776 0.2850 -1.2085
O1 2.6861 0.3420 -2.4222
Rb1 4.0677 0.8308 -6.2381
H1 0.8152 2.0150 -1.6619
H2 -0.0122 0.4522 -1.8341
H3 1.8851 -0.7628 -0.8700
H4 2.6887 0.7487 -0.3986
C5 -2.9542 -2.4464 0.6980
O2 -1.7510 0.7043 2.9100
C6 -0.8005 1.3898 2.5832
O3 -0.1478 2.0854 3.5062
H5 -3.3960 -3.0702 1.4887
H6 -3.4960 -1.5396 0.3850
H7 0.5151 2.6709 3.1141
O4 -1.9474 -2.7977 0.0908
Mg1 -0.8531 -4.4557 -0.3218

Atoms 1-3, force components in eV/Å:
0.213 -0.560 -1.093
-0.466 0.928 0.868
-0.419 -0.181 -0.118



2.
A structure of composition C6H7N at a distorted geometry, computed with the ωB97M-V functional and the def2-TZVPD basis.

* Kohn-Sham gap: 7.61 eV
* net charge: 0
* 2S+1: 1

Geometry (Å):
C1 0.1433 -1.8919 1.8370
C2 1.2752 -0.9832 0.5167
C3 -1.0912 -2.0967 2.4157
C4 0.0430 1.2659 -0.5041
C5 0.5619 0.4795 -1.5831
C6 0.2536 -0.3326 -0.2618
N1 -2.2039 -1.8790 2.9471
H1 0.8398 -2.4918 2.3761
H2 0.7376 2.0054 -0.1300
H3 -1.0424 1.5041 -0.4803
H4 -0.0840 0.1213 -2.4140
H5 1.5473 0.5949 -1.8707
H6 -0.7292 -0.7921 -0.4047
H7 -2.8551 -2.6183 3.1961

Atoms 1-3, force components in eV/Å:
-0.327 -0.146 -0.383
-3.570 -0.569 2.139
0.241 2.308 -1.712



3.
An isolated molecule of C6H7N at a distorted geometry, computed with the ωB97M-V functional and the def2-TZVPD basis.

* SMILES: Nc1ccccc1
* Kohn-Sham gap: 9.00 eV
* net charge: 0
* 2S+1: 1

Geometry (Å):
N1 0.4638 1.1763 1.9360
C1 0.2283 0.4815 0.7528
C2 -0.9897 0.6848 0.0638
C3 -1.1562 0.1894 -1.2197
C4 -0.2923 -0.8569 -1.6152
C5 0.6369 -1.3473 -0.7223
C6 0.9994 -0.6418 0.4207
H1 -0.2236 1.8175 2.2774
H2 1.3949 1.5086 2.1094
H3 -1.8338 1.0964 0.6110
H4 -2.1204 0.3151 -1.6958
H5 -0.2902 -1.1433 -2.6591
H6 1.1611 -2.2624 -0.9809
H7 1.8940 -0.9018 0.9677

Atoms 1-3, force components in eV/Å:
0.423 -0.075 0.426
-0.852 -0.768 0.665
0.269 -0.017 -0.082



4.
A structure of composition C6H7N at a distorted geometry, computed with the ωB97M-V functional and the def2-TZVPD basis.

* Kohn-Sham gap: 9.16 eV
* net charge: 0
* 2S+1: 1

Geometry (Å):
C1 0.9500 0.5346 1.3837
C2 -0.5260 1.0322 1.2134
C3 -1.1261 -0.2187 -1.2325
C4 -0.2472 -1.0362 -1.8225
C5 0.8647 -1.1769 -0.8607
C6 0.6441 -0.2397 0.1373
H1 1.6846 1.3372 1.3291
H2 1.1045 0.0406 2.2121
H3 -0.7673 2.1307 0.9820
H4 -1.2560 0.6590 1.9240
H5 -2.1156 0.1077 -1.4260
H6 -0.3154 -1.7185 -2.6178
H7 1.6954 -1.7856 -1.1078
N1 -0.5898 0.3337 -0.1142

Atoms 1-3, force components in eV/Å:
-1.661 2.884 -3.884
-1.450 2.220 -1.388
-2.129 1.986 0.609



What did the fourth record say?
A structure of composition C6H7N at a distorted geometry, computed with the ωB97M-V functional and the def2-TZVPD basis.

* Kohn-Sham gap: 9.16 eV
* net charge: 0
* 2S+1: 1

Geometry (Å):
........

HTTPClient has been updated to 5.x, so update your axis2.xml files from httpclient4 to httpclient5.

Previously generated sources from WSDL2Java with javax references may or may not work in the latest Tomcat / Wildfly. You may have to regenerate your sources or globably replace the required jakarta imports.

The JSON support has been updated with many bugs fixed, while the examples in the user guide have been updated to use Spring Boot 3. If you want to support native JSON with simple POJO's and no SOAP, axis2 can do that. See the new enableJSONOnly flag in axis2.xml.

For those who want to support both SOAP and JSON, the JSON support docs for the XML Stream API Base Approach have been improved.

Axis2 added two committers recently and after this big jakarta update that changed nearly every file and dependency of the project, the community can once again expect releases several times a year to fix bugs and update dependencies with CVE's.

The main purpose of the release is to upgrade everything possible to the latest, and have our Jira issues cleaned up. Many issues have been fixed.

New features that may happen in the future are HTTP/2 support and OpenAPI. Let us know on the dev list if interested.

The most likely way to get a Jira issue fixed is with a GitHub PR or patch, due to the large amount of Axis2 features that are unused by the committers and therefore difficult to test a fix.

If your Jira issue is unfixed, please reach out and work with the committers on some type of code contibution and testing as some issues are just too deep in areas that the comitters don't use ourselves.

The 2.0.0 release lacks a few features in previous releases because of a lack of adequate GitHub PR's.

These missing features include preemptive basic authentication, though there is a work around explained in the Jira issue https://issues.apache.org/jira/browse/AXIS2-6055 .

OSGI support is also missing. The state of its dependency Felix and jakarta is unclear. This feature has code that is difficult to support and lacks GitHub PR's after several attempts to gain volunteers. We hope to support OSGI again in 2.0.1.

The Eclipse plugins are broken. The docs as well as the code are outdated. If interested in contributing a fix, see Jira issue AXIS2-5955.

For those interested in Rampart - an optional implementation of WS-Sec* standards that depends on Axis2 - they can expect a Rampart 2.0.0 soon that isn't expected to add much to the recently released Rampart 1.8.0, a release that is based on the previous Axis2 version 1.8.2. Mostly, the upcoming Rampart 2.0.0 release will upgrade OpenSAML to 5.x so that it supports jakarta, while the remaining deps that need updates are few.

Unrelated to this page: data records:
Formula: C2H7N3O
Source: the OMol25 dataset
Level of theory: wB97M-V/def2-TZVPD

frontier orbital gap	10.0	eV
HOMO	-0.341	Eh
SMILES string	[H]/N=C(/CO)NN
LUMO energy	0.0264	hartree
max |F|	6.5	eV Å⁻¹

XYZ file:
```
13
Properties=species:S:1:pos:R:3:nbo_charge:R:1
C 0.40519 -0.12347 -0.07485 0.43
C -0.56684 0.97564 -0.30452 -0.12
H -1.23895 -1.54038 2.14577 0.35
H -1.66668 -2.41295 0.82648 0.35
H 0.66175 -2.16102 0.47871 0.37
H 2.49525 -0.20960 -0.29999 0.38
H -0.94702 1.30446 0.71752 0.19
H -1.32666 0.52580 -0.93392 0.17
Here the page continues:

Apache Axis2 2.0.0 Jira issues fixed


  • [AXIS2-5689] - A Veracode security scan reports multiple severity 4 security flaws in axis2.jar
  • [AXIS2-5900] - If and else branches has the same condition
  • [AXIS2-5901] - Redundant conditions in an if statement
  • [AXIS2-5948] - Proxy settings ignored if username not specified
  • [AXIS2-5964] - AbstractJSONMessageFormatter NOT using CharSetEncoding when reding Json string Bytes
  • [AXIS2-6030] - Axis2 connections are not returned to connection pool on 1.8.0 with JAXWS
  • [AXIS2-6035] - Axis2 libraries not compatible with Tomcat 10
  • [AXIS2-6037] - Install axis2-plugin-intelliJ error
  • [AXIS2-6041] - totalDigits Facet of XSD type short incorrectly treated in databinding
  • [AXIS2-6042] - Eclipse Plugin Downloads
  • [AXIS2-6043] - StackOverflowError in org.apache.axis2.client.Options.getSoapVersionURI()
  • [AXIS2-6044] - HTTPProxyConfigurator system property takes precedence over axis configuration and message context proxy properties
  • [AXIS2-6045] - NPE after upgrade to 1.8.2
  • [AXIS2-6046] - AxisFault after upgrade to 1.8.0
  • [AXIS2-6050] - Latest Axis2 1.8.2 release not compatible with Glassfish6/J2EE9
  • [AXIS2-6057] - Special characters are not allowed in password after upgrade( from 1.7.9 to 1.8.2)
  • [AXIS2-6062] - Is such a flexibility necessary allowing LDAP (and RMI, JRMP, etc.) protocol in `JMSSender`?
  • [AXIS2-6063] - Add enableJSONOnly parameter to axis2.xml
  • [AXIS2-6064] - CVE associtate with dependency jars of axis2
  • [AXIS2-6065] - Small problem with incorrect log output in AxisServlet#processAxisFault
  • [AXIS2-6066] - Site generation/deployment is broken
  • [AXIS2-6067] - CVE with dependency jars of axis2
  • [AXIS2-6068] - ConverterUtilTest is locale-dependent
  • [AXIS2-6073] - Axis2 httpclient5 RequstImpl doesnt initialize version & protocol with https
  • [AXIS2-6075] - axis2-wsdl2code-maven-plugin documentation is stuck on version 1.7.9
  • [AXIS2-6080] - Axis2 1.8.2 Missing Libraries for Apache Tomcat 11.0.2


  • [AXIS2-5975] - More specific Runtime Exceptions instead of just "Input values do not follow defined XSD restrictions"
  • [AXIS2-6049] - Generated Exceptions differ each generation
  • [AXIS2-6054] - when an inexistent enum value arrives, do not just throw an IllegalArgumentException without any exception
  • [AXIS2-6059] - Improve logging by default
  • [AXIS2-6069] - Disable admin console login by removing default credential values
  • [AXIS2-6071] - Add new class JSONBasedDefaultDispatcher that skips legacy SOAP code


  • [AXIS2-5953] - Upgrade javax.mail version
  • [AXIS2-6051] - Axis2 Future Roadmap in keeping up with new Java Versions


  • [AXIS2-6078] - Remove Google Analytics from 5 Pages on Axis Website